**What to do**
Could you print all of the listing further below without altering anything?
**Material**
<<<
# 1
A plane-wave DFT calculation with PBE was carried out for a geometry-optimized NaLa2Al2PS5O24 structure.

Summary:
Total energy after the MP2020 corrections, eV for the cell shown: -756.642
Space-group type: P1, No. 1

POSCAR file:
```
NaLa2Al2PS5O24
1.0
8.734 0.017 -0.015
-4.352 7.600 0.009
-0.037 0.006 23.767
La O S Na Al P
6 72 15 3 6 3
direct
0.340 0.674 0.800
0.000 0.009 0.165
0.001 0.988 0.842
0.675 0.334 0.199
0.340 0.672 0.017
0.657 0.337 0.977
0.747 0.794 0.215
0.301 0.463 0.472
0.506 0.637 0.564
0.340 0.485 0.094
0.929 0.738 0.785
0.814 0.069 0.786
0.503 0.123 0.627
0.446 0.311 0.139
0.830 0.289 0.529
0.995 0.826 0.086
0.176 0.009 0.916
0.853 0.328 0.271
0.304 0.859 0.859
0.552 0.876 0.732
0.043 0.251 0.211
0.539 0.836 0.472
0.174 0.168 0.086
0.484 0.295 0.718
0.023 0.817 0.411
0.186 0.484 0.283
0.816 0.795 0.591
0.203 0.021 0.591
0.128 0.491 0.564
0.617 0.496 0.626
0.106 0.448 0.965
0.441 0.323 0.037
0.186 0.208 0.410
0.503 0.149 0.903
0.138 0.452 0.862
0.164 0.701 0.472
0.673 0.513 0.902
0.302 0.821 0.283
0.365 0.871 0.564
0.993 0.169 0.315
0.322 0.450 0.732
0.636 0.132 0.432
0.522 0.708 0.283
0.831 0.005 0.084
0.881 0.558 0.034
0.823 0.815 0.315
0.181 0.171 0.686
0.514 0.861 0.093
0.991 0.820 0.685
0.337 0.889 0.967
0.142 0.654 0.092
0.693 0.138 0.137
0.855 0.345 0.903
0.544 0.682 0.860
0.496 0.874 0.373
0.009 0.182 0.915
0.810 0.516 0.716
0.385 0.505 0.374
0.257 0.189 0.786
0.708 0.191 0.718
0.979 0.182 0.591
0.125 0.622 0.373
0.868 0.503 0.433
0.458 0.169 0.529
0.201 0.949 0.215
0.176 0.997 0.316
0.459 0.138 0.271
0.876 0.379 0.626
0.667 0.534 0.271
0.126 0.672 0.731
0.794 0.974 0.410
0.501 0.365 0.434
0.676 0.121 0.034
0.823 0.839 0.916
0.710 0.541 0.529
0.863 0.553 0.137
0.549 0.646 0.968
0.831 0.011 0.686
0.967 0.688 0.729
0.955 0.335 0.578
0.028 0.358 0.911
0.663 0.620 0.578
0.676 0.030 0.087
0.972 0.647 0.087
0.309 0.278 0.730
0.284 0.976 0.272
0.340 0.383 0.422
0.351 0.325 0.089
0.380 0.044 0.578
0.726 0.035 0.730
0.690 0.713 0.271
0.618 0.953 0.422
0.046 0.664 0.422
0.000 0.988 0.996
0.677 0.332 0.346
0.656 0.331 0.831
0.665 0.332 0.668
0.665 0.334 0.488
0.002 0.002 0.640
0.336 0.667 0.515
0.328 0.660 0.328
0.995 0.004 0.358
0.645 0.670 0.911
0.331 0.974 0.911
0.021 0.310 0.271
```

=====

# 2
A plane-wave DFT calculation with PBE was carried out for a geometry-optimized Th7Pt3 structure.

Summary:
VASP energy, eV for the cell shown: -154.990
Space-group type: P6_3mc, No. 186

POSCAR file:
```
Th7Pt3
1.0
5.306 8.526 -0.847
-6.132 -1.357 7.881
4.853 -2.691 3.313
Th Pt
14 6
direct
0.333 0.667 0.082
0.743 0.872 0.246
0.128 0.872 0.246
0.872 0.128 0.746
0.912 0.456 0.031
0.456 0.912 0.531
0.667 0.333 0.582
0.872 0.743 0.746
0.456 0.544 0.531
0.128 0.257 0.246
0.257 0.128 0.746
0.544 0.456 0.031
0.088 0.544 0.531
0.544 0.088 0.031
0.812 0.188 0.311
0.377 0.188 0.311
0.812 0.623 0.311
0.188 0.812 0.811
0.623 0.812 0.811
0.188 0.377 0.811
```

=====

# 3
A plane-wave DFT calculation with PBE was carried out for a geometry-optimized CeB5BrO11 structure.

Summary:
Total energy after the MP2020 corrections, eV for the cell shown: -552.162
Space-group type: P2_1/c, No. 14

POSCAR file:
```
CeB5BrO11
1.0
-0.127 -7.878 12.594
6.215 1.779 1.176
2.589 10.375 6.516
O B Br Ce
44 20 4 4
direct
0.801 0.446 0.618
0.179 0.717 0.552
0.601 0.937 0.346
0.321 0.717 0.052
0.925 0.672 0.485
0.447 0.888 0.864
0.425 0.328 0.015
0.053 0.888 0.364
0.782 0.684 0.397
0.575 0.672 0.985
0.089 0.275 0.235
0.911 0.725 0.765
0.075 0.328 0.515
0.699 0.446 0.118
0.399 0.063 0.654
0.426 0.902 0.124
0.282 0.316 0.103
0.262 0.422 0.250
0.197 0.119 0.485
0.303 0.119 0.985
0.553 0.112 0.136
0.697 0.881 0.015
0.762 0.578 0.250
0.718 0.684 0.897
0.225 0.822 0.705
0.775 0.178 0.295
0.275 0.822 0.205
0.926 0.098 0.376
0.738 0.578 0.750
0.574 0.098 0.876
0.199 0.554 0.382
0.238 0.422 0.750
0.679 0.283 0.948
0.074 0.902 0.624
0.821 0.283 0.448
0.218 0.316 0.603
0.411 0.275 0.735
0.899 0.937 0.846
0.101 0.063 0.154
0.947 0.112 0.636
0.803 0.881 0.515
>>>
**Worked solution**
# 1
A plane-wave DFT calculation with PBE was carried out for a geometry-optimized NaLa2Al2PS5O24 structure.

Summary:
Total energy after the MP2020 corrections, eV for the cell shown: -756.642
Space-group type: P1, No. 1

POSCAR file:
```
NaLa2Al2PS5O24
1.0
8.734 0.017 -0.015
-4.352 7.600 0.009
-0.037 0.006 23.767
La O S Na Al P
6 72 15 3 6 3
direct
0.340 0.674 0.800
0.000 0.009 0.165
0.001 0.988 0.842
0.675 0.334 0.199
0.340 0.672 0.017
0.657 0.337 0.977
0.747 0.794 0.215
0.301 0.463 0.472
0.506 0.637 0.564
0.340 0.485 0.094
0.929 0.738 0.785
0.814 0.069 0.786
0.503 0.123 0.627
0.446 0.311 0.139
0.830 0.289 0.529
0.995 0.826 0.086
0.176 0.009 0.916
0.853 0.328 0.271
0.304 0.859 0.859
0.552 0.876 0.732
0.043 0.251 0.211
0.539 0.836 0.472
0.174 0.168 0.086
0.484 0.295 0.718
0.023 0.817 0.411
0.186 0.484 0.283
0.816 0.795 0.591
0.203 0.021 0.591
0.128 0.491 0.564
0.617 0.496 0.626
0.106 0.448 0.965
0.441 0.323 0.037
0.186 0.208 0.410
0.503 0.149 0.903
0.138 0.452 0.862
0.164 0.701 0.472
0.673 0.513 0.902
0.302 0.821 0.283
0.365 0.871 0.564
0.993 0.169 0.315
0.322 0.450 0.732
0.636 0.132 0.432
0.522 0.708 0.283
0.831 0.005 0.084
0.881 0.558 0.034
0.823 0.815 0.315
0.181 0.171 0.686
0.514 0.861 0.093
0.991 0.820 0.685
0.337 0.889 0.967
0.142 0.654 0.092
0.693 0.138 0.137
0.855 0.345 0.903
0.544 0.682 0.860
0.496 0.874 0.373
0.009 0.182 0.915
0.810 0.516 0.716
0.385 0.505 0.374
0.257 0.189 0.786
0.708 0.191 0.718
0.979 0.182 0.591
0.125 0.622 0.373
0.868 0.503 0.433
0.458 0.169 0.529
0.201 0.949 0.215
0.176 0.997 0.316
0.459 0.138 0.271
0.876 0.379 0.626
0.667 0.534 0.271
0.126 0.672 0.731
0.794 0.974 0.410
0.501 0.365 0.434
0.676 0.121 0.034
0.823 0.839 0.916
0.710 0.541 0.529
0.863 0.553 0.137
0.549 0.646 0.968
0.831 0.011 0.686
0.967 0.688 0.729
0.955 0.335 0.578
0.028 0.358 0.911
0.663 0.620 0.578
0.676 0.030 0.087
0.972 0.647 0.087
0.309 0.278 0.730
0.284 0.976 0.272
0.340 0.383 0.422
0.351 0.325 0.089
0.380 0.044 0.578
0.726 0.035 0.730
0.690 0.713 0.271
0.618 0.953 0.422
0.046 0.664 0.422
0.000 0.988 0.996
0.677 0.332 0.346
0.656 0.331 0.831
0.665 0.332 0.668
0.665 0.334 0.488
0.002 0.002 0.640
0.336 0.667 0.515
0.328 0.660 0.328
0.995 0.004 0.358
0.645 0.670 0.911
0.331 0.974 0.911
0.021 0.310 0.271
```

=====

# 2
A plane-wave DFT calculation with PBE was carried out for a geometry-optimized Th7Pt3 structure.

Summary:
VASP energy, eV for the cell shown: -154.990
Space-group type: P6_3mc, No. 186

POSCAR file:
```
Th7Pt3
1.0
5.306 8.526 -0.847
-6.132 -1.357 7.881
4.853 -2.691 3.313
Th Pt
14 6
direct
0.333 0.667 0.082
0.743 0.872 0.246
0.128 0.872 0.246
0.872 0.128 0.746
0.912 0.456 0.031
0.456 0.912 0.531
0.667 0.333 0.582
0.872 0.743 0.746
0.456 0.544 0.531
0.128 0.257 0.246
0.257 0.128 0.746
0.544 0.456 0.031
0.088 0.544 0.531
0.544 0.088 0.031
0.812 0.188 0.311
0.377 0.188 0.311
0.812 0.623 0.311
0.188 0.812 0.811
0.623 0.812 0.811
0.188 0.377 0.811
```

=====

# 3
A plane-wave DFT calculation with PBE was carried out for a geometry-optimized CeB5BrO11 structure.

Summary:
Total energy after the MP2020 corrections, eV for the cell shown: -552.162
Space-group type: P2_1/c, No. 14

POSCAR file:
```
CeB5BrO11
1.0
-0.127 -7.878 12.594
6.215 1.779 1.176
2.589 10.375 6.516
O B Br Ce
44 20 4 4
direct
0.801 0.446 0.618
0.179 0.717 0.552
0.601 0.937 0.346
0.321 0.717 0.052
0.925 0.672 0.485
0.447 0.888 0.864
0.425 0.328 0.015
0.053 0.888 0.364
0.782 0.684 0.397
0.575 0.672 0.985
0.089 0.275 0.235
0.911 0.725 0.765
0.075 0.328 0.515
0.699 0.446 0.118
0.399 0.063 0.654
0.426 0.902 0.124
0.282 0.316 0.103
0.262 0.422 0.250
0.197 0.119 0.485
0.303 0.119 0.985
0.553 0.112 0.136
0.697 0.881 0.015
0.762 0.578 0.250
0.718 0.684 0.897
0.225 0.822 0.705
0.775 0.178 0.295
0.275 0.822 0.205
0.926 0.098 0.376
0.738 0.578 0.750
0.574 0.098 0.876
0.199 0.554 0.382
0.238 0.422 0.750
0.679 0.283 0.948
0.074 0.902 0.624
0.821 0.283 0.448
0.218 0.316 0.603
0.411 0.275 0.735
0.899 0.937 0.846
0.101 0.063 0.154
0.947 0.112 0.636
0.803 0.881 0.515